Marr earns 2022 Public Service Award from Sedgwick County

From Seattle to Baghdad to the Marshall Islands, Jonathan Marr has worked as a firefighter all over the globe.  

But Marr, deputy director for Sedgwick County Emergency Management, moved to Wichita in 2019. And he’s made his mark since doing so. 

After becoming deputy director in 2020, Marr conducted in-depth research into the county’s aging tornado siren system. He volunteers as a firefighter in Derby. And his community service includes leading Wichita’s only Sea Scout ship and acting as editor in chief of a site dedicated to news and information for firefighters.  

Marr received this year’s Excellence in Public Service Award from Sedgwick County, an honor granted to public employees for strong work ethic, exceptional performance and commitment to community. The Wichita Beacon caught up with Marr to learn about the emergency management department and his extensive community service. This interview has been edited for length and clarity.

Q: Before I started covering local government, I didnt know what emergency management was. I kept getting it mixed up with EMS (emergency medical services). What do you do? What does your job look like?

That is actually a very common mistake that people make. They often mistake us for EMS. 

But emergency management is — we were born out of the civil defense era. So, if you’re familiar with the civil defense agency from the 1950s and all the duck-and-cover stuff. That civil defense gravitated into civil preparedness, which turned into disaster management, which then was renamed emergency management. So we used to be disaster management. That is our primary role. Preparing our community for the big events. We are collaborators, we are planners, we are communicators and we are organizers. So what we do is we work actively with all of our police chiefs, all of our fire chiefs, all of our public works departments, all of our hospitals. Basically, every stakeholder we have in emergency response. And we make sure that we’re developing plans that provide cohesion when we respond to that. 

We have public education programs for preparedness, like our community emergency response team basic training program, which will be launching sometime this fall.

And a lot of what we do is recovery. So we’ve just had this tornado that moved through. While the emergency is over, the recovery is not over. These people still don’t have homes, they still don’t have vehicles. They still don’t have clothes and food and all this other stuff. Even after the fire trucks and ambulances leave, emergency management is here to help coordinate the resources that these folks need to sustain their lives. 

Q: What has your job looked like in the wake of that tornado? Have you been getting enough sleep?

The short answer is no. It’s been dizzying. We had a lot going on before the tornado — a lot of balls that were up in the air. A lot of the work we were trying to do to prepare for events like this. It definitely threw a wrench into our day-to-day lives, and we have to pivot into this emergency response mode or emergency recovery mode, which takes a lot of energy, a lot of effort and a lot of time.  

It’s not technically our role to be on site. Our piece of this is coordination of resources and collaboration of resources. We try to make sure that the people that need the things are getting the things from the people that can give the things. But because we had 21 parcels affected, we became intimately familiar with every resident and every homeowner, what their needs were.

Q: Your biography says you worked on research into Sedgwick Countys outdoor siren system and how to save costs. What does that mean for the average person who cares about tornado sirens? Whats the next step? 

Emergency management has had incredible budget struggles in the last five to 10 years. A lot of it has been around our outdoor warning system. We’re just trying to keep the sirens working, essentially. And it’s aging. … We have sirens in our system that are 70 years old. This is mechanical equipment that is still working from 1952. They are museum pieces. We have museums that have reached out to us and they have asked if they can get ahold of them when we’re done. We have people that travel here from out-of-state to videotape and witness our Monday noon tests, because it’s like seeing a piece of history sound off every Monday at noon. 

One of the first things I was tasked with when I got here was to figure out why we’re breaking our budget year after year trying to keep these things working. Really, it’s a combination of factors, but it’s the age of the system plus some upgrades that we did in 2012. We tried to put motherboards on top of 1950s equipment and make them talk to each other. And it’s costing a lot of money to maintain. 

We found savings by moving our position from reactive maintenance to preventive maintenance.

We developed a new capital improvement project to replace the system. We’ve never had a master plan system for Sedgwick County.

Q: Your biography also said that youve done research on cancer that firefighters face, which triggered universities to study the issue. Can you tell me more about that?

So I have a website, Honestly, that website was a post-college [project]. After I graduated, I had this chunk of time I didn’t even know what to do with. So I started a blog, and that blog somehow became pretty popular. I ended up with like 20-30 writers, writing and contributing articles. I ended up with advertisers. 

**Here the article breaks off for data records**
- - -
For LiEr3Sc3Te8, DFT lattice parameters and positions (GGA-PBE) gives the theoretical powder XRD pattern in this record (Cu Kα, 1.54184 Å).
Intensities are scaled so that the largest is 100.

Cell and atoms:
Cell: 8.458 8.458 8.458 Å, 59.91 59.91 59.91°
Positions (direct):
Li 0.000 0.000 0.000
Er 0.000 0.000 0.500
Er 0.000 0.500 0.000
Er 0.500 0.000 0.000
Sc 0.000 0.500 0.500
Sc 0.500 0.000 0.500
Sc 0.500 0.500 0.000
Te 0.251 0.251 0.742
Te 0.251 0.742 0.251
Te 0.254 0.254 0.254
Te 0.258 0.749 0.749
Te 0.742 0.251 0.251
Te 0.746 0.746 0.746
Te 0.749 0.258 0.749
Te 0.749 0.749 0.258

The 10 most intense peaks (2θ from 15° to 90°), in order of rising 2θ:
| 2θ/deg | I (rel.) |
| --- | --- |
| 21.02 | 8 |
| 24.71 | 11 |
| 25.82 | 9 |
| 29.90 | 100 |
| 32.65 | 8 |
| 42.79 | 74 |
| 53.08 | 26 |
| 62.12 | 12 |
| 70.45 | 33 |
| 78.41 | 18 |

=====

For Li3Er3ScTe8, DFT lattice parameters and positions (GGA-PBE) gives the theoretical powder XRD pattern in this record (Cu Kα, 1.54184 Å).
Intensities are scaled so that the largest is 100.

Cell and atoms:
Cell: 8.617 8.617 8.617 Å, 59.04 59.04 59.04°
Positions (direct):
Li 0.000 0.500 0.500
Li 0.500 0.000 0.500
Li 0.500 0.500 0.000
Er 0.000 0.000 0.500
Er 0.000 0.500 0.000
Er 0.500 0.000 0.000
Sc 0.500 0.500 0.500
Te 0.252 0.252 0.252
Te 0.255 0.255 0.742
Te 0.255 0.742 0.255
Te 0.258 0.745 0.745
Te 0.742 0.255 0.255
Te 0.745 0.258 0.745
Te 0.745 0.745 0.258
Te 0.748 0.748 0.748

The 10 most intense peaks (2θ from 15° to 90°), in order of rising 2θ:
| 2θ/deg | I (rel.) |
| --- | --- |
| 24.57 | 18 |
| 25.64 | 11 |
| 29.54 | 100 |
| 41.94 | 38 |
| 42.59 | 37 |
| 52.68 | 20 |
| 61.31 | 12 |
| 69.05 | 17 |
| 69.97 | 17 |
| 77.51 | 12 |

=====

For Li3SmEr2Se6, DFT lattice parameters and positions (GGA-PBE) gives the theoretical powder XRD pattern in this record (Cu Kα, 1.54184 Å).
Intensities are scaled so that the largest is 100.

Cell and atoms:
Cell: 7.063 7.063 6.912 Å, 99.80 99.80 120.01°
Positions (direct):
Li 0.000 0.000 0.000
Li 0.332 0.668 0.000
Li 0.668 0.332 0.000
Sm 0.500 0.500 0.500
Er 0.167 0.833 0.500
Er 0.833 0.167 0.500
Se 0.075 0.416 0.247
Se 0.244 0.244 0.754
Se 0.416 0.075 0.247
Se 0.584 0.925 0.753
Se 0.756 0.756 0.246
Se 0.925 0.584 0.753

The 10 most intense peaks (2θ from 15° to 90°), in order of rising 2θ:
| 2θ/deg | I (rel.) |
| --- | --- |
| 25.64 | 38 |
| 31.28 | 100 |
| 34.26 | 19 |
| 44.43 | 38 |
| 45.20 | 36 |
| 46.69 | 14 |
| 55.34 | 20 |
| 73.58 | 17 |
| 74.70 | 16 |
| 82.38 | 12 |

=====

For LiSmEr2Se4, DFT lattice parameters and positions (GGA-PBE) gives the theoretical powder XRD pattern in this record (Cu Kα, 1.54184 Å).
Intensities are scaled so that the largest is 100.

Cell and atoms:
Cell: 7.048 4.044 7.049 Å, 90.00 109.20 90.00°
Positions (direct):
Li 0.000 0.000 0.000
Sm 0.500 0.500 0.000
Er 0.000 0.500 0.500
Er 0.500 0.000 0.500
Se 0.239 0.000 0.746
Se 0.243 0.500 0.251
Se 0.757 0.500 0.749
Se 0.761 0.000 0.254
- - -

I was approached by a woman in Massachusetts, Diane Cotter. She said to me, “Hey, my husband has prostate cancer, and I think he got it from the fire gear, and here’s why.” The topic was surrounding chemicals that are used to manufacture fire gear. And these chemicals are carcinogenic chemicals. 

So that was the explanation she gave me. I said, “You know, if this turns out to be true, this is going to be one of the biggest fire service scandals in this century.” 

Right around the times those chemicals came online is when the cancer rate started rising. So they’re easy dots to connect, but not so much easy dots to prove. So we published an initial article. It was called “The REAL Cancer in Your Gear.” … It got like 275,000 views within the first week and a half, two weeks. 

That led to a conversation with experimental nuclear physicist Graham Peaslee at the University of Notre Dame. He studies PFAS chemicals at Notre Dame. He offered to test some swatches of fire gear for us to let us know how much PFAS was in there. Those test results came back. They were actually alarming. He was shocked. It was 14,000 times what was allowed in drinking water, is what he found in the gear. He shared those results with all of his colleagues and across the nation. Harvard ended up doing a study. 

It has just snowballed into this group of studies around firefighter turnout gear. The whole goal really was to change the industry. And it already started changing. About a year or two ago, fire gear manufacturers started announcing they were going to gravitate away from these chemicals and the fire gear. 

Q: Some people may not know how integral government functions are to our lives. Why are emergency management services important and what should more people know about them?

We have amazing public services in Sedgwick County. Fire departments, police departments, public works, hospital systems, forensic science centers, nonprofits, Salvation Army, Red Cross. When a disaster occurs, each one of those agencies has a role and a piece to play within that disaster. But unless we’re all coordinating our efforts, it’s going to be a haphazard response to that large-scale incident. So emergency management is here to coordinate all of those resources so that we can have a more effective response to where the problem is.
